The story centers on CHEN Wei and her daughter, seeking refuge from CHEN Wei’s violent husband in the Butterfly Mansion, known for its eerie...
Them, Behind the Door
The story revolves around a blind music student who excels at piano but faces hardships due to his disability, and an aspiring dancer who works at a...
Touch of the Light
A provocative erotic drama about a Japanese food delivery man, a Taiwanese prostitute and a Filipino cleaner who are swept up by their insatiable...
In the Morning of La Petite Mort
The Will to Power
A cold, hard-nosed lawyer, Zhang, discovers that his past client, Tang, is involved in yet another case of sexual assault. Thirteen years ago, Zhang...
Fantasy · World
This short by Tsai Ming-liang, completed in 2021, was filmed at "the Dune" in Yilan, Taiwan, where the eight films in his Walker series were being...
Three students from Jing Mu Girls’ Middle School go missing and turn up dead. Xiao Tong, a special education student with speech impairment,...
VASP calculation (PBE-GGA) on an optimized crystal structure of Na3Nb8Zn4P15S3O72.

Summary:
- Magnetic moment: 0.00 μB/f.u.
- V: 1518 Å³/f.u.
- E: -767.06 eV/cell

Lattice parameters (Å, degrees): 8.770 8.775 22.754 89.84 89.91 60.13
Fractional positions:
Na1 0.000 0.000 0.000
Na2 0.001 0.000 0.498
Na3 0.664 0.664 0.154
Nb1 0.002 0.997 0.348
Nb2 0.324 0.333 0.685
Nb3 0.340 0.322 0.971
Nb4 0.342 0.324 0.183
Nb5 0.666 0.664 0.307
Nb6 0.667 0.662 0.806
Nb7 0.672 0.659 0.517
Nb8 0.999 0.999 0.848
Zn1 0.000 0.004 0.644
Zn2 0.328 0.328 0.470
Zn3 0.660 0.664 0.013
Zn4 0.999 0.004 0.141
P1 0.050 0.321 0.575
P2 0.286 0.711 0.242
P3 0.288 0.993 0.742
P4 0.334 0.036 0.077
P5 0.380 0.664 0.912
P6 0.380 0.954 0.412
P7 0.628 0.330 0.077
P8 0.662 0.375 0.411
P9 0.670 0.945 0.912
P10 0.713 0.284 0.742
P11 0.718 0.994 0.242
P12 0.952 0.379 0.913
P13 0.958 0.661 0.411
P14 0.996 0.716 0.742
P15 0.999 0.285 0.242
S1 0.044 0.620 0.077
S2 0.328 0.621 0.576
S3 0.624 0.045 0.576
O1 0.018 0.169 0.584
O2 0.028 0.170 0.299
O3 0.031 0.796 0.798
O4 0.034 0.790 0.082
O5 0.133 0.507 0.131
O6 0.135 0.505 0.418
O7 0.136 0.357 0.632
O8 0.139 0.355 0.919
O9 0.157 0.531 0.024
O10 0.159 0.302 0.522
O11 0.163 0.308 0.235
O12 0.163 0.526 0.734
O13 0.165 0.029 0.081
O14 0.172 0.028 0.798
O15 0.172 0.797 0.299
O16 0.179 0.797 0.584
O17 0.191 0.826 0.899
O18 0.197 0.964 0.402
O19 0.213 0.823 0.188
O20 0.216 0.958 0.688
O21 0.307 0.539 0.524
O22 0.308 0.525 0.235
O23 0.311 0.160 0.022
O24 0.312 0.159 0.734
O25 0.353 0.140 0.132
O26 0.355 0.502 0.919
O27 0.362 0.130 0.417
O28 0.363 0.508 0.630
O29 0.449 0.706 0.966
O30 0.467 0.829 0.466
O31 0.474 0.683 0.255
O32 0.474 0.838 0.756
O33 0.493 0.636 0.856
O34 0.493 0.857 0.356
O35 0.495 0.635 0.569
O36 0.504 0.353 0.132
O37 0.504 0.864 0.074
O38 0.505 0.356 0.420
O39 0.506 0.134 0.918
O40 0.511 0.124 0.630
O41 0.524 0.310 0.023
O42 0.525 0.308 0.733
O43 0.530 0.159 0.236
O44 0.544 0.150 0.524
O45 0.635 0.499 0.074
O46 0.636 0.865 0.569
O47 0.640 0.864 0.856
O48 0.645 0.490 0.357
O49 0.686 0.469 0.756
O50 0.686 0.836 0.254
O51 0.701 0.464 0.466
O52 0.708 0.838 0.967
O53 0.797 0.169 0.798
O54 0.800 0.160 0.081
O55 0.801 0.025 0.299
O56 0.802 0.015 0.584
O57 0.823 0.212 0.688
O58 0.827 0.957 0.188
O59 0.829 0.977 0.900
O60 0.832 0.698 0.465
O61 0.836 0.194 0.402
O62 0.839 0.473 0.255
O63 0.841 0.449 0.966
O64 0.841 0.683 0.756
O65 0.861 0.643 0.356
O66 0.863 0.497 0.568
O67 0.868 0.490 0.856
O68 0.873 0.630 0.073
O69 0.958 0.214 0.189
O70 0.964 0.821 0.687
O71 0.966 0.835 0.402
O72 0.980 0.189 0.900

VASP calculation (PBE-GGA) on an optimized crystal structure of CoCu3HgSe4.

Summary:
- Magnetic moment: 0.01 μB/f.u.
- V: 201 Å³/f.u.
- E: -34.54 eV/cell

Lattice parameters (Å, degrees): 5.859 5.859 5.859 90.00 90.00 90.00
Fractional positions:
Co1 0.000 0.000 0.000
Cu1 0.000 0.000 0.500
Cu2 0.000 0.500 0.000
Cu3 0.500 0.000 0.000
Hg1 0.500 0.500 0.500
Se1 0.226 0.226 0.226
Se2 0.226 0.774 0.774
Se3 0.774 0.226 0.774
Se4 0.774 0.774 0.226
A Place Called Silence
Having lost all his money in the stock market, a depressed man falls in love with a woman over a suicide helpline.
Help Me, Eros
Dragon Eye Congee tells the story of a second-generation Taiwanese American, Shaun Tam, who, since childhood, has repeatedly dreamt about the same...
Dragon Eye Congee: A Dream of Love
When Molly commits suicide, her mother uses technology to relive her experiences and investigate why she died.
The Last Day of Molly
Short film from Taiwan.
The North-Ming Fish
Bus Stop, Love Stayed
What is a mature relationship? How many types of family structures are there? Age, Class, Gender and Survival continue to distort the facets of...
The Island That All Flow By
Tsai Ming-Liang, the artisan of cinematography approaches virtual reality, pushing the boundaries of VR film. The Deserted stripped away traditional...
The Deserted
As the actress arrived, everything about the movie, about the life of director and actress, and about the affection between professor and his...
Is LIFE a Movie
Three key events during three different time periods, in three seasons, and on three nights culminate to change the life of Zhang Dong Ling.
Cities of Last Things
Fisherman Ah-Hai is found dead from self-immolation during a large-scale protest against TL Petrochemical. The incident instantly makes media...
High Flash
A film about the tormenting presence of absence. A young shop girl named Xiao Mei suddenly vanishes from her usual existence, without explanation or...
Xiao Mei
2012 film
The Moonlight in Jilin
A family of four fractures under the weight of unmet expectations, unexpected tragedy, and uncompromising pride.
A Sun
Talking with my Boyfriend's Ex